Wanted >
Next, set down the calculation results further down word for word.

Entries >
=====
Computed, not measured: crystalline FeCu3 at its relaxed geometry at the GGA-PBE level of DFT.

Values from the calculation:
Formation enthalpy at 0 K ... 0.1813 eV/atom
Mass density ... 8.505 g/cm3

abc: 5.1689 5.1689 4.1599
angles: 90.00 90.00 120.00
Space group P6_3/mmc (No. 194)
Symmetry-distinct sites (fractional):
Fe (0.3333, 0.6667, 0.2500) (multiplicity 2)
Cu (0.1668, 0.3336, 0.7500) (multiplicity 6)


(1)
CoBi6S2O16 | GGA+U | relaxed

Values from the calculation:
Its crystal system is monoclinic. For the total magnetization, the calculation gives 1.66 μB/cell.

The structure in CIF format:
```
data_CoBi6S2O16
_symmetry_space_group_name_H-M 'P 1'
_symmetry_Int_Tables_number 1
_cell_length_a 8.9958
_cell_length_b 8.9958
_cell_length_c 31.2121
_cell_angle_alpha 91.68
_cell_angle_beta 91.68
_cell_angle_gamma 36.72
loop_
_symmetry_equiv_pos_as_xyz
'x,y,z'
loop_
_atom_site_label
_atom_site_type_symbol
_atom_site_fract_x
_atom_site_fract_y
_atom_site_fract_z
Co1 Co 0.0000 0.0000 0.0000
Co2 Co 0.4508 0.5494 0.2500
Co3 Co 0.4506 0.5492 0.7500
Co4 Co 0.9506 0.0494 0.5000
Bi1 Bi 0.1247 0.1827 0.0880
Bi2 Bi 0.1269 0.1804 0.5876
Bi3 Bi 0.1440 0.2068 0.9151
Bi4 Bi 0.1456 0.2068 0.4151
Bi5 Bi 0.2908 0.3543 0.8344
Bi6 Bi 0.2932 0.3544 0.3349
Bi7 Bi 0.3191 0.3737 0.1625
Bi8 Bi 0.3196 0.3731 0.6624
Bi9 Bi 0.3877 0.6043 0.4179
Bi10 Bi 0.3892 0.6001 0.9167
Bi11 Bi 0.3957 0.6123 0.5821
Bi12 Bi 0.3999 0.6108 0.0833
Bi13 Bi 0.6263 0.6809 0.8375
Bi14 Bi 0.6269 0.6804 0.3376
Bi15 Bi 0.6456 0.7068 0.6651
Bi16 Bi 0.6457 0.7092 0.1656
Bi17 Bi 0.7932 0.8544 0.5849
Bi18 Bi 0.7932 0.8560 0.0849
Bi19 Bi 0.8173 0.8753 0.9120
Bi20 Bi 0.8196 0.8731 0.4124
Bi21 Bi 0.8880 0.1044 0.1680
Bi22 Bi 0.8877 0.1043 0.6679
Bi23 Bi 0.8957 0.1123 0.3321
Bi24 Bi 0.8956 0.1120 0.8320
S1 S 0.1588 0.1259 0.2461
S2 S 0.1587 0.1261 0.7460
S3 S 0.3740 0.3413 0.5039
S4 S 0.3779 0.3442 0.0038
S5 S 0.6558 0.6221 0.9962
S6 S 0.6587 0.6260 0.4961
S7 S 0.8739 0.8413 0.2540
S8 S 0.8741 0.8412 0.7539
O1 O 0.0117 0.9302 0.9401
O2 O 0.0142 0.9273 0.4420
O3 O 0.0698 0.9883 0.0599
O4 O 0.0727 0.9858 0.5580
O5 O 0.1405 0.6777 0.6185
O6 O 0.1412 0.6713 0.8700
O7 O 0.1406 0.6777 0.1187
O8 O 0.1434 0.6712 0.3710
O9 O 0.1448 0.6614 0.2619
O10 O 0.1450 0.6610 0.7618
O11 O 0.1463 0.1689 0.2934
O12 O 0.1457 0.1691 0.7934
O13 O 0.2203 0.5944 0.5197
O14 O 0.2221 0.6009 0.0190
O15 O 0.2438 0.1862 0.2221
O16 O 0.2440 0.1864 0.7222
O17 O 0.3116 0.2660 0.0284
O18 O 0.3137 0.2560 0.5279
O19 O 0.3223 0.8594 0.8813
O20 O 0.3223 0.8595 0.3815
O21 O 0.3288 0.8566 0.6290
O22 O 0.3287 0.8588 0.1300
O23 O 0.3309 0.3540 0.4566
O24 O 0.3320 0.3571 0.9565
O25 O 0.3390 0.8550 0.2382
O26 O 0.3386 0.8552 0.7381
O27 O 0.3991 0.7779 0.9810
O28 O 0.4056 0.7797 0.4803
O29 O 0.4520 0.0474 0.8751
O30 O 0.4533 0.0465 0.3750
O31 O 0.4727 0.0275 0.6250
O32 O 0.4728 0.0286 0.1250
O33 O 0.5141 0.4274 0.1920
O34 O 0.5142 0.4273 0.6919
O35 O 0.5727 0.4858 0.3081
O36 O 0.5726 0.4859 0.8080
O37 O 0.6381 0.1788 0.8679
O38 O 0.6406 0.1776 0.3686
O39 O 0.6434 0.1712 0.6209
O40 O 0.6435 0.1717 0.1211
O41 O 0.6429 0.6680 0.0435
O42 O 0.6449 0.1612 0.5119
O43 O 0.6460 0.6691 0.5434
O44 O 0.6467 0.1660 0.0116
O45 O 0.7205 0.0944 0.7695
O46 O 0.7201 0.0945 0.2697
O47 O 0.7340 0.6884 0.9716
O48 O 0.7440 0.6863 0.4721
O49 O 0.8136 0.7560 0.2778
O50 O 0.8138 0.7562 0.7779
O51 O 0.8212 0.3619 0.1321
O52 O 0.8224 0.3594 0.6314
O53 O 0.8283 0.3565 0.8789
O54 O 0.8288 0.3566 0.3791
O55 O 0.8309 0.8543 0.2066
O56 O 0.8311 0.8537 0.7066
O57 O 0.8340 0.3533 0.9884
O58 O 0.8388 0.3551 0.4881
O59 O 0.9055 0.2799 0.7303
O60 O 0.9056 0.2795 0.2305
O61 O 0.9535 0.5467 0.6250
O62 O 0.9526 0.5480 0.1249
O63 O 0.9714 0.5272 0.8750
O64 O 0.9725 0.5273 0.3750
```

=====

(2)
CoBi6S2O16 | GGA+U | relaxed

Values from the calculation:
Its crystal system is monoclinic. For the total magnetization, the calculation gives 0.00 μB/cell.

The structure in CIF format:
```
data_CoBi6S2O16
_symmetry_space_group_name_H-M 'P 1'
_symmetry_Int_Tables_number 1
=====

Result >
Computed, not measured: crystalline FeCu3 at its relaxed geometry at the GGA-PBE level of DFT.

Values from the calculation:
Formation enthalpy at 0 K ... 0.1813 eV/atom
Mass density ... 8.505 g/cm3

abc: 5.1689 5.1689 4.1599
angles: 90.00 90.00 120.00
Space group P6_3/mmc (No. 194)
Symmetry-distinct sites (fractional):
Fe (0.3333, 0.6667, 0.2500) (multiplicity 2)
Cu (0.1668, 0.3336, 0.7500) (multiplicity 6)


(1)
CoBi6S2O16 | GGA+U | relaxed

Values from the calculation:
Its crystal system is monoclinic. For the total magnetization, the calculation gives 1.66 μB/cell.

The structure in CIF format:
```
data_CoBi6S2O16
_symmetry_space_group_name_H-M 'P 1'
_symmetry_Int_Tables_number 1
_cell_length_a 8.9958
_cell_length_b 8.9958
_cell_length_c 31.2121
_cell_angle_alpha 91.68
_cell_angle_beta 91.68
_cell_angle_gamma 36.72
loop_
_symmetry_equiv_pos_as_xyz
'x,y,z'
loop_
_atom_site_label
_atom_site_type_symbol
_atom_site_fract_x
_atom_site_fract_y
_atom_site_fract_z
Co1 Co 0.0000 0.0000 0.0000
Co2 Co 0.4508 0.5494 0.2500
Co3 Co 0.4506 0.5492 0.7500
Co4 Co 0.9506 0.0494 0.5000
Bi1 Bi 0.1247 0.1827 0.0880
Bi2 Bi 0.1269 0.1804 0.5876
Bi3 Bi 0.1440 0.2068 0.9151
Bi4 Bi 0.1456 0.2068 0.4151
Bi5 Bi 0.2908 0.3543 0.8344
Bi6 Bi 0.2932 0.3544 0.3349
Bi7 Bi 0.3191 0.3737 0.1625
Bi8 Bi 0.3196 0.3731 0.6624
Bi9 Bi 0.3877 0.6043 0.4179
Bi10 Bi 0.3892 0.6001 0.9167
Bi11 Bi 0.3957 0.6123 0.5821
Bi12 Bi 0.3999 0.6108 0.0833
Bi13 Bi 0.6263 0.6809 0.8375
Bi14 Bi 0.6269 0.6804 0.3376
Bi15 Bi 0.6456 0.7068 0.6651
Bi16 Bi 0.6457 0.7092 0.1656
Bi17 Bi 0.7932 0.8544 0.5849
Bi18 Bi 0.7932 0.8560 0.0849
Bi19 Bi 0.8173 0.8753 0.9120
Bi20 Bi 0.8196 0.8731 0.4124
Bi21 Bi 0.8880 0.1044 0.1680
Bi22 Bi 0.8877 0.1043 0.6679
Bi23 Bi 0.8957 0.1123 0.3321
Bi24 Bi 0.8956 0.1120 0.8320
S1 S 0.1588 0.1259 0.2461
S2 S 0.1587 0.1261 0.7460
S3 S 0.3740 0.3413 0.5039
S4 S 0.3779 0.3442 0.0038
S5 S 0.6558 0.6221 0.9962
S6 S 0.6587 0.6260 0.4961
S7 S 0.8739 0.8413 0.2540
S8 S 0.8741 0.8412 0.7539
O1 O 0.0117 0.9302 0.9401
O2 O 0.0142 0.9273 0.4420
O3 O 0.0698 0.9883 0.0599
O4 O 0.0727 0.9858 0.5580
O5 O 0.1405 0.6777 0.6185
O6 O 0.1412 0.6713 0.8700
O7 O 0.1406 0.6777 0.1187
O8 O 0.1434 0.6712 0.3710
O9 O 0.1448 0.6614 0.2619
O10 O 0.1450 0.6610 0.7618
O11 O 0.1463 0.1689 0.2934
O12 O 0.1457 0.1691 0.7934
O13 O 0.2203 0.5944 0.5197
O14 O 0.2221 0.6009 0.0190
O15 O 0.2438 0.1862 0.2221
O16 O 0.2440 0.1864 0.7222
O17 O 0.3116 0.2660 0.0284
O18 O 0.3137 0.2560 0.5279
O19 O 0.3223 0.8594 0.8813
O20 O 0.3223 0.8595 0.3815
O21 O 0.3288 0.8566 0.6290
O22 O 0.3287 0.8588 0.1300
O23 O 0.3309 0.3540 0.4566
O24 O 0.3320 0.3571 0.9565
O25 O 0.3390 0.8550 0.2382
O26 O 0.3386 0.8552 0.7381
O27 O 0.3991 0.7779 0.9810
O28 O 0.4056 0.7797 0.4803
O29 O 0.4520 0.0474 0.8751
O30 O 0.4533 0.0465 0.3750
O31 O 0.4727 0.0275 0.6250
O32 O 0.4728 0.0286 0.1250
O33 O 0.5141 0.4274 0.1920
O34 O 0.5142 0.4273 0.6919
O35 O 0.5727 0.4858 0.3081
O36 O 0.5726 0.4859 0.8080
O37 O 0.6381 0.1788 0.8679
O38 O 0.6406 0.1776 0.3686
O39 O 0.6434 0.1712 0.6209
O40 O 0.6435 0.1717 0.1211
O41 O 0.6429 0.6680 0.0435
O42 O 0.6449 0.1612 0.5119
O43 O 0.6460 0.6691 0.5434
O44 O 0.6467 0.1660 0.0116
O45 O 0.7205 0.0944 0.7695
O46 O 0.7201 0.0945 0.2697
O47 O 0.7340 0.6884 0.9716
O48 O 0.7440 0.6863 0.4721
O49 O 0.8136 0.7560 0.2778
O50 O 0.8138 0.7562 0.7779
O51 O 0.8212 0.3619 0.1321
O52 O 0.8224 0.3594 0.6314
O53 O 0.8283 0.3565 0.8789
O54 O 0.8288 0.3566 0.3791
O55 O 0.8309 0.8543 0.2066
O56 O 0.8311 0.8537 0.7066
O57 O 0.8340 0.3533 0.9884
O58 O 0.8388 0.3551 0.4881
O59 O 0.9055 0.2799 0.7303
O60 O 0.9056 0.2795 0.2305
O61 O 0.9535 0.5467 0.6250
O62 O 0.9526 0.5480 0.1249
O63 O 0.9714 0.5272 0.8750
O64 O 0.9725 0.5273 0.3750
```

=====

(2)
CoBi6S2O16 | GGA+U | relaxed

Values from the calculation:
Its crystal system is monoclinic. For the total magnetization, the calculation gives 0.00 μB/cell.

The structure in CIF format:
```
data_CoBi6S2O16
_symmetry_space_group_name_H-M 'P 1'
_symmetry_Int_Tables_number 1